Huawei has been given the green light to work on Britain’s 5G infrastructure. The decision was made during a meeting of the National Security Council yesterday morning and follows months of contention within the government and Parliament over the role that the company should have, if any, in Britain’s telecommunications. 

The company, designated a “high risk vendor”, will build “non-core” elements of the country’s 5G network. It will be banned from the “core” of the network and from areas of unique interest such as military and nuclear facilities. Huawei will also have its share of the market capped at 35%. 

Founded in China in 1987, Huawei is now a world leader in the telecommunications technology which the British government is hoping to use to upgrade the country’s infrastructure, keep pace with other countries, and keeps the cost of 5G kits low.

National Security

Questions have been raised, however, at the links between the company and the Chinese government. The constitution of the People’s Republic of China suggests that any individual or company must assist the government in intelligence gathering if asked to do so. Beijing and Huawei dispute this, though critics argue that Huawei’s involvement in Britain’s national infrastructure would compromise the country’s national security. Huawei has repeatedly said it is a private company and is not subject to Chinese state interference. 

Conservative MP Tom Tugendhat – the former Chair of the Commons Foreign Affairs Committee –  has argued that giving Huawei a green light is too much of a risk.  “Our choice of provider should not be about economics, but about sovereignty,” he wrote in The Daily Mail

“The truth is that only nations able to protect their data will be sovereign. Huawei’s 5G sets us on a path that undermines our autonomy and the repercussions could be grave.” Commenting on the decision made yesterday morning, he said it “does not close the UK’s networks to a frequently malign international actor.” 

Sir Iain Duncan Smith, the former Conservative Leader, has said that it is “utterly bizarre” to allow the company access.

A Labour spokesperson commented that the government have “refused to take our technological sovereignty seriously and failed to invest in home-grown alternatives to Huawei. As a result, they’re in the ludicrous position of having to choose between the UK’s security concerns and our infrastructure needs.”

MI5 and GCHQ have both advised that the security risks of letting Huawei operate “non core” parts of the network can be managed. Indeed, although the National Cyber Security Centre released a report on Huawei in July 2018 which “exposed new risks in the UK telecommunications networks”, they have claimed the risk is manageable. The Centre has said they possess “a unique oversight and understanding of Huawei engineering and cyber security” and that the risks can be brought down to “acceptable levels”.

However, the capacity of the NCSC to deal with any security risk is doubted by industry experts. Citing the failure of the government to cope with cyber threats against UK universities and their research, one expert in internet security said “the NCSC can’t do s***.”

Transatlantic Trouble

Critics of the company are not limited to the UK. Various figures in Washington have called on Britain not to allow Huawei to contribute to British telecommunications. Matt Pottinger, the President’s deputy National Security Adviser, told British ministers this month that allowing Huawei into Britain’s infrastructure would put transatlantic intelligence sharing at risk. 

Another senior US official also claimed that, if Huawei is given a role, “Congress has made it clear they will want an evaluation of our intelligence sharing.” 

The UK is currently a member of the “Five Eyes” intelligence sharing network. Through the network, Britain, the USA, Canada, Australia, and New Zealand share vital intelligence. The logical concern is that vulnerability in one of the countries’ national security will allow for vulnerabilities in others’. Australia and New Zealand have already joined the US in banning Huawei from participating in their 5G networks.

Regarding the decision made this morning, US officials also believe the ban on Huawei’s involvement in “core” infrastructure will not stymie vulnerabilities in British national security. A White House source has claimed the administration is “disappointed” at the outcome of yesterday’s NSC meeting. The US Secretary of State, Mike Pompeo, will visit Downing Street today for a two-day visit, but British officials have said that Washington had offered no new intelligence on the security risks of using Huawei equipment.

‘A UK-specific solution’

These calculated crystals were left in the page by mistake =
+++
This entry pairs a crystal structure of CsUI2O8 with its simulated X-ray powder pattern. Radiation: Cu Kα X-rays. Structure: a DFT-relaxed cell (GGA-PBE, Alexandria).
Peak positions follow from Bragg's law for the DFT cell and can differ from measured ones.

Most intense lines, 2θ = 15–90°, in order of rising 2θ:
d (Å)	2theta	I (rel.)	index
5.624	15.8	49	1 0 0
4.649	19.1	66	1 0 1
3.330	26.8	100	1 0 2
3.247	27.5	87	1 1 0
2.325	38.7	37	0 2 2
1.939	46.8	24	0 1 4
1.890	48.1	43	2 1 2
1.875	48.6	18	3 0 0
1.482	62.7	22	1 2 4
1.459	63.8	18	1 3 2

Atomic structure:
```
data_CsUI2O8
_space_group_name_H-M_alt 'P -3 m 1'
_space_group_IT_number 164
_space_group_name_Hall '-P 3 2"'
_cell_length_a 6.4940
_cell_length_b 6.4940
_cell_length_c 8.2641
_cell_angle_alpha 90.00
_cell_angle_beta 90.00
_cell_angle_gamma 120.00
loop_
_atom_site_label
_atom_site_type_symbol
_atom_site_fract_x
_atom_site_fract_y
_atom_site_fract_z
Cs1 Cs 0.0000 0.0000 0.0000
U1 U 0.0000 0.0000 0.5000
I1 I 0.3333 0.6667 0.3342
O1 O 0.1551 0.3101 0.3467
O2 O 0.3333 0.6667 0.1184
```

=====

This entry pairs a crystal structure of PaCuPdO6 with its simulated X-ray powder pattern. Radiation: Cu Kα X-rays. Structure: a DFT-relaxed cell (GGA-PBE, Alexandria).
Peak positions follow from Bragg's law for the DFT cell and can differ from measured ones.

Most intense lines, 2θ = 15–90°, in order of rising 2θ:
d (Å)	2theta	I (rel.)	index
4.311	20.6	37	1 0 1
3.417	26.1	100	1 1 0
2.656	33.7	81	1 0 3
2.416	37.2	25	2 0 0
1.787	51.1	66	2 1 3
1.709	53.6	16	2 2 0
1.528	60.6	16	3 1 0
1.441	64.7	15	1 1 6
1.437	64.9	20	3 0 3
1.235	77.3	14	3 2 3

Atomic structure:
```
data_PaCuPdO6
_space_group_name_H-M_alt 'P 42 n m'
_space_group_IT_number 102
_cell_length_a 4.832
_cell_length_b 4.832
_cell_length_c 9.537
_cell_angle_alpha 90.00
_cell_angle_beta 90.00
_cell_angle_gamma 90.00
loop_
_space_group_symop_operation_xyz
'x,y,z'
'-y+1/2,x+1/2,z+1/2'
'-x,-y,z'
'y+1/2,-x+1/2,z+1/2'
'-x+1/2,y+1/2,z+1/2'
'y,x,z'
'x+1/2,-y+1/2,z+1/2'
'-y,-x,z'
loop_
_atom_site_label
_atom_site_type_symbol
_atom_site_fract_x
_atom_site_fract_y
_atom_site_fract_z
Pa1 Pa 0.000 0.000 0.000
Cu1 Cu 0.000 0.000 0.669
Pd1 Pd 0.000 0.000 0.331
O1 O 0.180 0.180 0.502
O2 O 0.200 0.200 0.173
O3 O 0.202 0.202 0.828
```


Diffraction record for Li2VP3O10. The X-ray powder pattern is theoretical, not measured: it uses the GGA+U geometry in the Materials Project and Cu Kα.
Lines closer than 0.1° are merged.

Cell and atoms:
```
data_Li2VP3O10
_symmetry_space_group_name_H-M 'C 1 2/c 1'
_symmetry_Int_Tables_number 15
_symmetry_space_group_name_Hall '-C 2yc'
_cell_length_a 14.3388
_cell_length_b 7.1799
_cell_length_c 9.7150
_cell_angle_alpha 90.00
_cell_angle_beta 126.97
_cell_angle_gamma 90.00
loop_
_atom_site_label
_atom_site_type_symbol
_atom_site_fract_x
_atom_site_fract_y
_atom_site_fract_z
Li1 Li 0.2298 0.0144 0.0373
V1 V 0.0000 0.1659 0.2500
P1 P 0.0000 0.4509 0.7500
P2 P 0.1216 0.1811 0.6860
O1 O 0.0066 0.3147 0.6264
O2 O 0.0965 0.1266 0.5152
+++

Some critics of the US position argue that the Trump administration merely wants to weaken China’s strong position in the 5G telecommunications markets and that Britain is in the midst of a US-China tech “cold war”. Beijing had warned the UK that there could be “substantial” repercussions if the technology company was banned outright.

Baroness Morgan, the Secretary of State for Culture, said, “We want world-class connectivity as soon as possible but this must not be at the expense of our national security. High-risk vendors never have been and never will be in our most sensitive networks. 

“This is a UK-specific solution for UK-specific reasons and the decision deals with the challenges we face right now.”